Kevin on Doomcloud.
Feb 2009.
Song by Song.
I don't know who actually needs this album.I only know it exists and that the time has come for it to be heard in all its raw angsty glory.
It has waited long enough - up to 8 years plus in a jumbled up pile of CD's dating from November 2000 to April 2003.
____________
The following is a DFT calculation (GGA-PBE) of a relaxed structure of BPtAu.

As for the total DFT energy (no corrections): -15.81 eV per formula unit. As for the formation energy: 0.06 eV per atom. As for the space group: C2/m (12). For the volume, the calculation gives 87.19 Å³ per cell.

Geometry as POSCAR:
```
BPtAu
1.0
5.205 -1.527 0.000
5.205 1.527 0.000
-2.622 0.000 5.485
B Pt Au
2 2 2
direct
0.180 0.180 0.390 B
0.820 0.820 0.610 B
0.253 0.253 0.775 Pt
0.747 0.747 0.225 Pt
0.487 0.487 0.251 Au
0.513 0.513 0.749 Au
```

=====

The following is a DFT calculation (GGA-PBE) of a relaxed structure of B2Pt2Au.

As for the total DFT energy (no corrections): -27.93 eV per formula unit. The energy above the most stable polymorph in this dataset comes out at 295 meV per atom. As for the formation energy: 0.16 eV per atom. As for the space group: P4/mmm (123). For the volume, the calculation gives 63.63 Å³ per cell.

Geometry as POSCAR:
```
B2Pt2Au
1.0
2.887 0.000 0.000
0.000 2.887 0.000
0.000 0.000 7.634
B Pt Au
2 2 1
direct
0.000 0.500 0.000 B
0.500 0.000 0.000 B
0.000 0.000 0.222 Pt
0.000 0.000 0.778 Pt
0.500 0.500 0.500 Au
```

=====

The following is a DFT calculation (GGA-PBE) of a relaxed structure of B2PtAu2.

As for the total DFT energy (no corrections): -23.03 eV per formula unit. The energy above the most stable polymorph in this dataset comes out at 279 meV per atom. As for the formation energy: 0.58 eV per atom. As for the space group: I4/mmm (139). For the volume, the calculation gives 67.10 Å³ per cell.

Geometry as POSCAR:
```
B2PtAu2
1.0
-2.018 2.018 4.121
2.018 -2.018 4.121
2.018 2.018 -4.121
B Pt Au
2 1 2
direct
0.098 0.098 0.000 B
0.902 0.902 0.000 B
0.500 0.500 0.000 Pt
0.250 0.750 0.500 Au
0.750 0.250 0.500 Au
```

=====

The following is a DFT calculation (GGA-PBE) of a relaxed structure of BPt3Au.

As for the total DFT energy (no corrections): -28.45 eV per formula unit. The energy above the most stable polymorph in this dataset comes out at 118 meV per atom. As for the formation energy: -0.07 eV per atom. As for the space group: C2/m (12). For the volume, the calculation gives 153.90 Å³ per cell.

Geometry as POSCAR:
```
BPt3Au
1.0
6.728 -1.411 0.000
6.728 1.411 0.000
-0.348 0.000 8.104
B Pt Au
2 6 2
direct
0.157 0.157 0.108 B
0.843 0.843 0.892 B
0.204 0.204 0.356 Pt
0.330 0.330 0.093 Pt
0.458 0.458 0.833 Pt
0.542 0.542 0.167 Pt
0.670 0.670 0.907 Pt
0.796 0.796 0.644 Pt
0.411 0.411 0.417 Au
0.589 0.589 0.583 Au
```

=====

Copy entry 3 word for word.
The following is a DFT calculation (GGA-PBE) of a relaxed structure of B2PtAu2.

As for the total DFT energy (no corrections): -23.03 eV per formula unit. The energy above the most stable polymorph in this dataset comes out at 279 meV per atom. As for the formation energy: 0.58 eV per atom. As for the space group: I4/mmm (139). For the volume, the calculation gives 67.10 Å³ per cell.

Geometry as POSCAR:
```
B2PtAu2
1.0
-2.018 2.018 4.121
2.018 -2.018 4.121
2.018 2.018 -4.121
____________
It got underway with a good kick start session that yielded 5 of the tracks heard on this 12 song collection.It ended with a last gasp attempt to revive it 17 months later.
And then it was shelved.
I'd moved on from the person I was a year and a half before and I wanted to express another side of myself. I was being reborn on the internet, reveling in my new found cult artist status. These so-called 'Doomcloud' songs seemed just that, doomed.
One evening in March 2008 I was sifting through some old burned CD's of my demos over the last few years and started listening to the 'Doomcloud' ones - and found them so compelling that I couldn't stop listening.I sifted through over 3 hours of different versions (8 full takes of 'Ultrapissed'!), false starts ,incomplete takes, half realised ideas / sketches and alternate mixes.
Much to his bemusement I bunged the whole lot onto 3 CD's to top Hewickologist Gary Knight in London.He agreed with me that there was 'something there' after all - the ghost of a KH album maybe...
It so happened that Gemma Upton of the great Nottingham band O'lovely Lie had sent me a superb CD compilation of her work through this decade. I said I'd send her some of my stuff back and with that I compiled a 40 odd minute long version of 'DC' - Gemma liked it and so did I.
Months have a habit of flying by and following on from a traumatic 2007 2008 soon bought some very tough ones - boy, I thought I'd got it bad in 2000 - you have to laugh - or cry!??
With all that this going on this rather ill-starred set once again got itself sidelined.But by the end of 2008 the idea became active to put it up as free download via
And after further examination and a tidying up / editing session at Neil Segrott's studio 'Doomcloud' was ready to be set free on Valentines Day 2009.Who said romance was dead?
I got to know him again, the punchdrunk (and sometimes drunk drunk) 43 - 45 year old who was single again after spending most of the 90s as a partner and family man.One thing endured, fatherhood was still upheld with commitment and love and hope, I got a house and enjoyed a whole new side to my relationship with my wonderful daughter as she turned 5,6,7.. that side was me, my mum and my dad, we were all flawed human beings with good hearts and we made good of things.My 'Doomcloud' persona is pretty self absorbed and selfish but I had something in my life that pulled me away from being just that, I gave that damn about our kid and was all the richer a human being for that.
But in those initial long days and nights back on my own I crumbled a bit, a lot even at times - and i wrote these unflinching and starkly honest lyrics about it.
____________
[1]
The following is a PBE calculation of an optimized crystal structure of GdDyThPa, from Alexandria.

POSCAR file:
```
GdDyThPa
1.0
7.861 0.000 0.000
0.000 7.861 0.000
0.000 0.000 7.861
Gd Dy Th Pa
4 4 4 4
direct
0.000 0.000 0.000 Gd
0.000 0.500 0.500 Gd
0.500 0.000 0.500 Gd
0.500 0.500 0.000 Gd
0.250 0.250 0.250 Dy
0.250 0.750 0.750 Dy
0.750 0.250 0.750 Dy
0.750 0.750 0.250 Dy
0.250 0.250 0.750 Th
0.250 0.750 0.250 Th
0.750 0.250 0.250 Th
0.750 0.750 0.750 Th
0.000 0.000 0.500 Pa
0.000 0.500 0.000 Pa
0.500 0.000 0.000 Pa
0.500 0.500 0.500 Pa
```

Results
formation energy from the elements	0.3489	eV per atom

***

[2]
The following is a PBE calculation of an optimized crystal structure of GdDyPb2, from Alexandria.

POSCAR file:
```
GdDyPb2
1.0
5.037 0.000 0.000
0.000 5.037 0.000
0.000 0.000 4.474
Gd Dy Pb
1 1 2
direct
0.000 0.000 0.000 Gd
0.500 0.500 0.000 Dy
0.000 0.500 0.500 Pb
0.500 0.000 0.500 Pb
```

Results
formation energy from the elements	-0.4665	eV per atom
____________
End of the calculated crystals:
It was high time for a follow up to 'Helpline' but funds and the will to face my nemesis the recording studio were at a low down low.
Dan Britton, a fair old songsmith himself, invited me to stay at his house in Melton Mowbray for an overnight stay in October 2000.He set up a mini disc recorder and a mixing desk in his lounge and we slapped down versions of various things, I often using his excellent Yairi guitar, so good I went and got my own in the end.
After every successful take Dan would fire a pellet from his air rifle across the room - not at me thankfully!
I remember us finally calling it a night and drinking beers and watching 'The People vrs Larry Flynt' on Dan's TV..
He went out horseriding and left me to it for a bit the next morning, I mostly playing around with my 'American Pie' the great lost Hewick epic 'The Groupies Ball'..
Jock of my friends The Freed Unit burned the MD's to CD for me - it was early days for such digital transfers.I called it 'Lo-FI Stopgap' but maybe it was TOO 'lo-fi' lol..
Dan told me to try recording the songs in better quality with Robbie Murphy at his home studio so in November that's what I did and from those time's at Robbies place comes this album.
Robbie, Irish as Irish can be, a very perceptive and patient man, was going through his own trials at this time. For me he was a constant source of wisdom, philosophy, and musical passion. He also shared my eclectic musical tastes - The Sugababes debut 'One touch' was often given a spin during recording breaks.
After a flying start on November 6th I lost momentum, by December I was panicing about 'not being done by Christmas'. The January 2001 sessions make pretty dismal listening.I stopped the project dead in its tracks until April and much the same happened - a terrific opening salvo on April 9th that is represented by 5 songs on this virtual platter then a tailing off thereafter.
So 'in the bin' was 'Doomcloud' that I even began a whole new album project with Gary Birtles at his Yellowbelly Studio in 2002 but that never got past two pretty fruitless sessions.
Through all this I was banging away for three hours a time at The Shed in Leicester every Wednesday night but recording was another ball game.
With typical baffling KH logic I suddenly decided to revamp 'Doomcloud' in 2003 and returned to Robbies on April 13th to lay down a striking three guitar/vocal reading of the then new 'An Object She's Left Behind'. That and a few bits from 2000/01 would be rushed out on CD for my impending trip to perform in Holland. But I missed my own deadline yet again and that WAS it... until now.
It brings back long walks down the Kingsway in Braunstone Town, guitar case in hand, then going past Winstanley School, kids on the street taking the mickey doing the twangy strummy mickey take they always do.. on a meaner note the odd stone thrown too..
Love WAS tearing me apart, you'll hear that in every strum n' wail but as I said at the start of this ramble who need's to hear it now?
Maybe you do my friend, back in those long lost dazed days Robbie Murphy might have just coaxed me into pulling off communicating something universal as well as personal, something of worth, something honest and direct.
I had fantasies of Johnny Cash singing this, I wrote it with him in mind, I saw it as a real 21st century Country and Western song.
The protagonist as aware that he himself is part of his troubles. He doesn't seek revenge, he is too defeated to fight any more battles.All is lost.
By the standards of the other tracks this is, the final item we actually recorded for 'DC' is more 'produced' with its lovely harmony leads but the song it itself is bare, barely there.
It was called just plain 'Left Behind' but then Slipknot came out with a single of the same name so I changed it to the full title of 'An Object She's Left Behind' .For the record I quite liked the Slipknot 'Left behind'!
One very rainy day I was early to pick up my daughter from school and one sole figure stood in the playground looking like it was all pouring down on her head, literally as if she were under a cloud and there and then I got this kind of old fashioned folky line in my head 'For how long had that doomy cloud/ followed her'.
It's her side of the story, in contrast with his side in 'An Object..' , a couple who can't communicate, both in pain but both unable to help the other.
I've always tut tutted at my fingerpicking but I got a bit of a Nick Drake feel here I hope, Nick was the inspiration for it that's for sure.
The title confuses people because it's a made up word pronounced like 'Reservation' but with a D,.
Wet as it may seem it's a 'someday my prince(ss) will come' number.
There's no easy way to say this but it leaves me nothing to hide behind. If that's pathetic then yes its pathetic. There's even an expression of the fear that I'll die without ever finding the love I so crave, that I'm always overlooked and left alone.I do see that as something to fear, I have sought a John and Yoko soulmate relationship in my life, in fact come to think of it I don't mind being Yoko ok?
I think this is a beautiful song but harrowing to perform live, it gives too much away.
It's very direct in what it's saying, again it leaves me nowhere to hide.The line I always tense up singing is 'Lonely women/Lonely men/I'm proud to say I'm one of them' as if its some badge of honour to be a romantic reject!The next line does suggest that such 'lonely's' get it together mind and be lonesome no more.
'Your silence is my sweet agony' is a reference to my friend Helen Swann's band Sweet Agony, I was briefly on the bass in Helen's earlier band The Scottish Polis Inspectors (!) and did some lead guitar with her in her line up after Sweet Agony too, it was a great exeprience to not be up front and back another singer songwriter.
Even writing about these songs 8 odd years later makes me squirm a bit.
Deep breath.. this is about the then brave new world of chatting up a woman in a pub, the now long gone alas Royal Mail in Leciester - but months before I was a total family man and would have never dreamt of such a thing - but here I was, single again, doing just that.
That it's a competition is so damn hard. I almost felt like i was beating other men off with a stick while trying to be charming and interesting to the lady in question!
Footnote: I wasn't SO off target - she was a very good sport and we did go out a few times for meals /drinks, nothing else, just platonic but some nice times.
Or 'Kevins Drinking Song'.
Again, a true incident shameful to say, 1.00am on a 'mid-week lost weekend' at The Shed in Leicester, a drunken pass that went very, very wrong.
In that state you think she knows me she goes out with other men who are boring twats why not me, I'm not a boring twat. Very egotistical, very me me me but in this case as er fellow aristes we had previously had a kind of platonic affinity that I misconstrued on this occasion.
I kept going back to this and re-doing it and re-doing with Robbie, the 8 complete versions that still exist sound bafflingly similar to my ear now.
Another version of this was recorded with Gary Birtles in October 2000 and included on Sorted records compliation 'Havock Junction'.
I returned to it on April 9th at Woodland Studios AKA Murphy's lounge. It's a sister song to 'Deservation', says much the same thing about craving LOVE, to be a lover but the object of desire saying NOOOOOOOOOOOOOOOOOOOOOOOOOOOOOO etc etc
I think I can laugh at myself more these days.
Perhpas my vocal is 'overcooked' but it's a tremendous passionate song and I give it the full Jeff Buckley. Amazingly my voice has held out, I can still hit these notes at will and it seems silly not to when you can. Of course I was doing it before Jeff. And during. And after.
I did an A Cappella song for 1983's 'Such Hunger For Love' the somewhat blunt and ungracious 'Make'. At last I felt I had another in 'The Love Phantom'.
One thing I liked about 'LP' was it was totally about someone else but it did relate to the difficult 'singles' world I was now struggling in where people hurt each other so. Me, I never meant to hurt anybody but I guess we all do somewhere down our respective lines.
There are NINE complete takes of this including an April 2001 guitar intro outro one which was whipped off this set at the 11th hour 59th minute for this 'echoey' vocally demanding run through of a then totally new idea on November 9th 2000.
Other than on this song I'd mostly shunned ANY effects whatsoever, I see it now as my dogme album ,very bleak, very honest. I very reluctantly trimmed off all of Robbie's 'GO' and 'YOU'RE ON' signals to start each pass but it was felt that though 'Doomcloud' IS about Robbie, a PC and me and a black Ovation guitar in a room in a house in Braunstone Town it's also about these songs getting a chance to shine at last and carry the listener along with nothing in the way.
Having said that, we left a few seconds on here that capture in a nutshell me and Robbie on either side of a take - 'We're rolling" says RM , I gently foot-stamping and mumbled a melody preview at the start and, oddly my outburst about the "SUCKING ENDING' referring to the fact that though it's a very good version the 6th string on the guitar loses it's low D tuning a few seconds from the conclusion.
But.. "SUCKING"?????? Oh well it got us a PG rather than an 18 Certificate!
Another song not about me screwing up, it's about other folk screwing up.The words are not judgemental, they accept people for being people, that people do these things and can't help themselves doing them.. but in this case don't drag me into it!
This slightly gives away its vintage as one line in it refers to the turn of the millennium but then again that means somebody in 3000 can have a hit with a cover version of it - or I'll revamp it myself if I'm still around.
To quote my good friends Girls Aloud it's about the eternal 'call the shots' type woman and the always somehows somehow under her spell semi-powerless Hewickesque bloke.
It's exactly the kind of thing that sometimes bothers me about my writing, I look around and see people living the lives they live and think a certain thought - WHO needs THIS stuff? In the roles they perform in life, in their relationships, does anybody really go through anything that makes my wailings connect to their reality?
I'm not just doing this for myself, it's me trying communicate through song, I do it because it feels like it's what I was put on this earth to do.
I'm being a bit hard on myself because you could ask the same of Jeff Buckley or Take That, does anybody actually feel those emotions, live in that heightened state of drama and passion.
The folks sat on the bus look blank regardless of age race culture.
It might all be going on in their mp3/iPod headphones though.
A little bit of hope, a number scribbled on a piece of paper, that's the way it can start can it not?
#w
NaSr2LiH: optimized geometry, GGA-PBE.

abc: 5.4874 5.4874 5.0610
angles: 90.00 90.00 90.00
Sites, in units of the cell vectors:
H1 0.0000 0.0000 0.0000
Li1 0.5000 0.5000 0.5000
Na1 0.0000 0.0000 0.5000
Sr1 0.5000 0.0000 0.0000
Sr2 0.0000 0.5000 0.0000

Results
Space group: P4/mmm (123)
DOS at the Fermi energy, states/eV/atom: 0.7008

***

#x
NaSr2LiH: optimized geometry, GGA-PBE.

abc: 5.7093 5.7093 4.6430
angles: 90.00 90.00 90.00
Sites, in units of the cell vectors:
Sr1 0.0000 0.5000 0.0000
Sr2 0.5000 0.0000 0.0000
Na1 0.5000 0.5000 0.5000
Li1 0.0000 0.0000 0.5000
H1 0.0000 0.0000 0.0000

Results
Space group: P4/mmm (123)
DOS at the Fermi energy, states/eV/atom: 0.5314

***

Which of them is the most stable, and which is the least stable? #w and #x, in that order.

***

#w
LiNbH2: optimized geometry, GGA-PBE.

abc: 4.9702 4.9702 4.6866
angles: 57.98 57.98 90.00
Sites, in units of the cell vectors:
Nb1 0.0000 0.0000 0.0000
H1 0.1327 0.6250 0.2500
H2 0.6173 0.1250 0.2500
Li1 0.5000 0.5000 0.0000
Li2 0.2500 0.7500 0.5000
H3 0.3750 0.3827 0.7500
Nb2 0.7500 0.2500 0.5000
H4 0.8750 0.8673 0.7500

Results
Space group: I-42d (122)
DOS at the Fermi energy, states/eV/atom: 0.2187

***

#x
LiNbH2: optimized geometry, GGA-PBE.

abc: 3.5694 3.5694 3.5694
angles: 60.00 60.00 60.00
Sites, in units of the cell vectors:
H1 0.7500 0.7500 0.7500
Li1 0.0000 0.0000 0.0000
Nb1 0.5000 0.5000 0.5000
H2 0.2500 0.2500 0.2500

Results
Space group: Fm-3m (225)
DOS at the Fermi energy, states/eV/atom: 0.2594

***

Which of them is the most stable, and which is the least stable? #w and #x, in that order.

***

#w
LiNb2H: optimized geometry, GGA-PBE.

abc: 4.1775 4.1775 4.1775
angles: 60.00 60.00 60.00
Sites, in units of the cell vectors:
H1 0.0000 0.0000 0.0000
Li1 0.5000 0.5000 0.5000
Nb1 0.7500 0.7500 0.7500
Nb2 0.2500 0.2500 0.2500

Results
Space group: Fm-3m (225)
DOS at the Fermi energy, states/eV/atom: 0.6175

***

#x
LiNb2H: optimized geometry, GGA-PBE.

abc: 5.8391 5.8391 5.7814
angles: 59.67 59.67 90.00
Sites, in units of the cell vectors:
Li1 0.0000 0.0000 0.0000
Nb1 0.4135 0.1250 0.2500
Nb2 0.3750 0.5865 0.7500
H1 0.5000 0.5000 0.0000
Nb3 0.3365 0.6250 0.2500
Li2 0.7500 0.2500 0.5000
Nb4 0.8750 0.6635 0.7500
H2 0.2500 0.7500 0.5000

Results
Space group: I-42d (122)
DOS at the Fermi energy, states/eV/atom: 0.7538

***

#y
LiNb2H: optimized geometry, GGA-PBE.

abc: 2.8877 2.8877 8.4409
angles: 80.15 80.15 60.00
Sites, in units of the cell vectors:
Li1 0.0000 0.0000 0.0000
Nb1 0.8872 0.8872 0.3383
Nb2 0.1128 0.1128 0.6617
H1 0.5000 0.5000 0.5000

Results
Space group: R-3m (166)
DOS at the Fermi energy, states/eV/atom: 0.9876

***

Which of them is the most stable, and which is the least stable? #y and #w, in that order.

***

#w
LiNbH3: optimized geometry, GGA-PBE.

abc: 3.7031 3.7031 3.7031
angles: 90.00 90.00 90.00
Last column: magnetic moment on the atom in μB.
Sites, in units of the cell vectors:
Li1 0.5000 0.5000 0.5000  0.01
H1 0.0000 0.0000 0.5000  -0.01
So it's that moment before calling, a call that could be just a hi or the first move toward a life chaging relationship 'How I first met my wife' is a line I'm fond of saying though I've never been married doh so..
'Make That Call' has also perhaps got a wee bit dated because it's clearly not of todays world of instant texts and mobiles in every pocket.
I did some nice lead guitars over this but you can hear the fret wear buzzing badly - in fact the Ovation guitar gave up on me as I came close to finishing the third overdub and had to go off to Sheehans in Leicester to be re-fretted straight after, adding yet another jinx to the 'DC' sessions.
Despite that the improvisations were so good, there were unrepeatable moments of magic on there, one bit even coming over like an acoustic version of the dual leads on Def Leppard's 'Hysteria' a song I played over and over at this time - so that was it for 'Make That Call' fret buzz and all.
This was the only song from another era, having been written back in the early 1990s.I was on a roll during the productive November 6th 2000 session at Robbie's and happened to pull off a take of it, the one here.
This is a sweet lament from my mid 30s in my Queen's Road flat, a Victoria Park Autumnal fantasia, containing much of the schoolboyish longing expressed on 'Deservation' or 'Day to Day, Lonely' but between 'Kiss Her' and those was my time as part of a couple and becoming a dad.
So just as 'Doomcloud' begins with it's last recorded piece it seems apt that it ends with the earliest of it's songs, its circle unbroken - where I was at in 1991 or 2000 or 2009 is all connected by the music and lyrics.
Kevin Hewick February 5th 2009